• Data:
'''
(1)
A plane-wave DFT calculation with PBEsol was carried out for an optimized crystal structure of InHO2.

Cell: 3.3143 3.3143 13.6470 Å, 90.00 90.00 120.00°
Space group R-3m (No. 166, hexagonal axes)
Inequivalent atoms, fractional coordinates:
In 0.0000 0.0000 0.0000 [3 per cell]
H 0.0000 0.0000 0.5000 [3 per cell]
O 0.0000 0.0000 0.4112 [6 per cell]

final energy = -5.6116 eV/atom


(2)
A plane-wave DFT calculation with PBEsol was carried out for an optimized crystal structure of RbEu3F10.

Cell: 11.803 11.803 11.803 Å, 90.00 90.00 90.00°
Space group Fm-3m (No. 225)
Inequivalent atoms, fractional coordinates:
Rb 0.250 0.250 0.250 [8 per cell]
Eu 0.000 0.000 0.239 [24 per cell]
F 0.000 0.166 0.334 [48 per cell]
F 0.112 0.112 0.112 [32 per cell]

final energy = -7.2299 eV/atom
raw formation energy = -49.2 eV/f.u.


(3)
A plane-wave DFT calculation with PBEsol was carried out for an optimized crystal structure of Sm2Ge5Ir3.

Cell: 10.166 11.766 5.997 Å, 90.00 90.00 90.00°
Space group Ibam (No. 72)
Inequivalent atoms, fractional coordinates:
Sm 0.228 0.133 0.000 [8 per cell]
Ge 0.000 0.000 0.250 [4 per cell]
Ge 0.000 0.276 0.250 [8 per cell]
Ge 0.161 0.401 0.000 [8 per cell]
Ir 0.000 0.500 0.250 [4 per cell]
Ir 0.110 0.142 0.500 [8 per cell]

energy relative to the elements = -784.6 meV/atom
final energy = -7.2196 eV/atom


(4)
A plane-wave DFT calculation with PBEsol was carried out for an optimized crystal structure of Mg5Cu.

Cell: 5.2886 5.2886 4.8171 Å, 90.00 90.00 120.00°
Space group P-62m (No. 189)
Inequivalent atoms, fractional coordinates:
Mg 0.0000 0.3158 0.0000 [3 per cell]
Mg 0.3333 0.6667 0.5000 [2 per cell]
Cu 0.0000 0.0000 0.5000 [1 per cell]

distance to the lowest polymorph of the same formula = 0.0412 eV/atom
energy relative to the elements = 34.2 meV/atom
final energy = -2.1191 eV/atom


(5)
A plane-wave DFT calculation with PBEsol was carried out for an optimized crystal structure of Al3NiN.

Cell: 3.881 3.881 3.881 Å, 90.00 90.00 90.00°
Space group Pm-3m (No. 221)
Inequivalent atoms, fractional coordinates:
Al 0.000 0.000 0.500 [3 per cell]
Ni 0.500 0.500 0.500 [1 per cell]
N 0.000 0.000 0.000 [1 per cell]

final energy = -5.6647 eV/atom
raw formation energy = -1.4 eV/f.u.


(6)
A plane-wave DFT calculation with PBEsol was carried out for an optimized crystal structure of Cs2IBr.

Cell: 8.779 8.779 8.779 Å, 90.00 90.00 90.00°
Space group Fm-3m (No. 225)
Inequivalent atoms, fractional coordinates:
Cs 0.250 0.250 0.250 [8 per cell]
I 0.000 0.000 0.000 [4 per cell]
Br 0.000 0.000 0.500 [4 per cell]

distance to the lowest polymorph of the same formula = 0.0000 eV/atom
final energy = -3.0142 eV/atom
raw formation energy = -6.5 eV/f.u.


(7)
A plane-wave DFT calculation with PBEsol was carried out for an optimized crystal structure of ReNi2Pt.

Cell: 3.620 3.620 7.627 Å, 90.00 90.00 90.00°
Space group I-4m2 (No. 119)
Inequivalent atoms, fractional coordinates:
Re 0.000 0.000 0.000 [2 per cell]
Ni 0.000 0.000 0.500 [2 per cell]
Ni 0.000 0.500 0.750 [2 per cell]
Pt 0.000 0.500 0.250 [2 per cell]

distance to the lowest polymorph of the same formula = 0.0086 eV/atom
energy relative to the elements = -65.2 meV/atom
final energy = -8.2178 eV/atom


(8)
A plane-wave DFT calculation with PBEsol was carried out for an optimized crystal structure of PtAuSe.

Cell: 3.5593 3.5593 5.0620 Å, 90.00 90.00 120.00°
Space group P3m1 (No. 156)
Inequivalent atoms, fractional coordinates:
Pt 0.0000 0.0000 0.0000 [1 per cell]
Au 0.3333 0.6667 0.3374 [1 per cell]
Se 0.6667 0.3333 0.7238 [1 per cell]

final energy = -4.8605 eV/atom
raw formation energy = 0.2 eV/f.u.


Question: Among the records above, which one has the lowest final energy?
Answer: ReNi2Pt


Question: What is the final energy in the seventh record?
Answer: -8.2178 eV/atom


Question: The highest final energy belongs to which entry?
Answer: Mg5Cu

~~~~~

Version i
An optimized crystal structure of MgRu2Cl. Source: Alexandria via LeMat-Bulk, functional PBE.

POSCAR file:
'''

• Wanted:
Now print all of the block further up with every line break kept.

• Written answer:
(1)
A plane-wave DFT calculation with PBEsol was carried out for an optimized crystal structure of InHO2.

Cell: 3.3143 3.3143 13.6470 Å, 90.00 90.00 120.00°
Space group R-3m (No. 166, hexagonal axes)
Inequivalent atoms, fractional coordinates:
In 0.0000 0.0000 0.0000 [3 per cell]
H 0.0000 0.0000 0.5000 [3 per cell]
O 0.0000 0.0000 0.4112 [6 per cell]

final energy = -5.6116 eV/atom


(2)
A plane-wave DFT calculation with PBEsol was carried out for an optimized crystal structure of RbEu3F10.

Cell: 11.803 11.803 11.803 Å, 90.00 90.00 90.00°
Space group Fm-3m (No. 225)
Inequivalent atoms, fractional coordinates:
Rb 0.250 0.250 0.250 [8 per cell]
Eu 0.000 0.000 0.239 [24 per cell]
F 0.000 0.166 0.334 [48 per cell]
F 0.112 0.112 0.112 [32 per cell]

final energy = -7.2299 eV/atom
raw formation energy = -49.2 eV/f.u.


(3)
A plane-wave DFT calculation with PBEsol was carried out for an optimized crystal structure of Sm2Ge5Ir3.

Cell: 10.166 11.766 5.997 Å, 90.00 90.00 90.00°
Space group Ibam (No. 72)
Inequivalent atoms, fractional coordinates:
Sm 0.228 0.133 0.000 [8 per cell]
Ge 0.000 0.000 0.250 [4 per cell]
Ge 0.000 0.276 0.250 [8 per cell]
Ge 0.161 0.401 0.000 [8 per cell]
Ir 0.000 0.500 0.250 [4 per cell]
Ir 0.110 0.142 0.500 [8 per cell]

energy relative to the elements = -784.6 meV/atom
final energy = -7.2196 eV/atom


(4)
A plane-wave DFT calculation with PBEsol was carried out for an optimized crystal structure of Mg5Cu.

Cell: 5.2886 5.2886 4.8171 Å, 90.00 90.00 120.00°
Space group P-62m (No. 189)
Inequivalent atoms, fractional coordinates:
Mg 0.0000 0.3158 0.0000 [3 per cell]
Mg 0.3333 0.6667 0.5000 [2 per cell]
Cu 0.0000 0.0000 0.5000 [1 per cell]

distance to the lowest polymorph of the same formula = 0.0412 eV/atom
energy relative to the elements = 34.2 meV/atom
final energy = -2.1191 eV/atom


(5)
A plane-wave DFT calculation with PBEsol was carried out for an optimized crystal structure of Al3NiN.

Cell: 3.881 3.881 3.881 Å, 90.00 90.00 90.00°
Space group Pm-3m (No. 221)
Inequivalent atoms, fractional coordinates:
Al 0.000 0.000 0.500 [3 per cell]
Ni 0.500 0.500 0.500 [1 per cell]
N 0.000 0.000 0.000 [1 per cell]

final energy = -5.6647 eV/atom
raw formation energy = -1.4 eV/f.u.


(6)
A plane-wave DFT calculation with PBEsol was carried out for an optimized crystal structure of Cs2IBr.

Cell: 8.779 8.779 8.779 Å, 90.00 90.00 90.00°
Space group Fm-3m (No. 225)
Inequivalent atoms, fractional coordinates:
Cs 0.250 0.250 0.250 [8 per cell]
I 0.000 0.000 0.000 [4 per cell]
Br 0.000 0.000 0.500 [4 per cell]

distance to the lowest polymorph of the same formula = 0.0000 eV/atom
final energy = -3.0142 eV/atom
raw formation energy = -6.5 eV/f.u.


(7)
A plane-wave DFT calculation with PBEsol was carried out for an optimized crystal structure of ReNi2Pt.

Cell: 3.620 3.620 7.627 Å, 90.00 90.00 90.00°
Space group I-4m2 (No. 119)
Inequivalent atoms, fractional coordinates:
Re 0.000 0.000 0.000 [2 per cell]
Ni 0.000 0.000 0.500 [2 per cell]
Ni 0.000 0.500 0.750 [2 per cell]
Pt 0.000 0.500 0.250 [2 per cell]

distance to the lowest polymorph of the same formula = 0.0086 eV/atom
energy relative to the elements = -65.2 meV/atom
final energy = -8.2178 eV/atom


(8)
A plane-wave DFT calculation with PBEsol was carried out for an optimized crystal structure of PtAuSe.

Cell: 3.5593 3.5593 5.0620 Å, 90.00 90.00 120.00°
Space group P3m1 (No. 156)
Inequivalent atoms, fractional coordinates:
Pt 0.0000 0.0000 0.0000 [1 per cell]
Au 0.3333 0.6667 0.3374 [1 per cell]
Se 0.6667 0.3333 0.7238 [1 per cell]

final energy = -4.8605 eV/atom
raw formation energy = 0.2 eV/f.u.


Question: Among the records above, which one has the lowest final energy?
Answer: ReNi2Pt


Question: What is the final energy in the seventh record?
Answer: -8.2178 eV/atom


Question: The highest final energy belongs to which entry?
Answer: Mg5Cu

~~~~~

Version i
An optimized crystal structure of MgRu2Cl. Source: Alexandria via LeMat-Bulk, functional PBE.

POSCAR file: